Cycles ID mask looks low sample

Is there a reason why material and object ID masks in Cycles render layers look like they were taken from a really low sample render no matter what the samples used? It’s especially noticeable with scenes with Cycles motion blur.

Inserted here: calculated molecules >
- - -
Molecular formula: BrH2O2PS
Method: DFT, the ωB97M-V functional and the def2-TZVPD basis

## Properties
* E_HOMO: -8.91 eV
* E_tot: -94294.809 eV
* F_max: 4.33 eV Å⁻¹
* net charge: 0
* 2S+1: 1

```
7
Properties=species:S:1:pos:R:3:forces:R:3
O 0.549907 0.500349 -1.253813 0.619 0.147 -0.112
P 0.922003 -0.427205 -0.028364 -1.953 -3.392 0.434
O 0.359544 0.339849 1.258466 -0.717 -0.234 -0.259
S -0.372353 -2.426714 -0.122674 2.482 3.542 0.018
Br 3.122725 -0.234883 0.019793 -1.141 -0.102 0.173
H -0.340369 0.236826 -1.489916 -0.665 -0.095 -0.632
H -0.625141 0.141129 1.247626 1.374 0.134 0.378
```
Positions in Å, forces in eV/Å.

----------

Density functional theory data (ωB97M-V/def2-TZVPD) for a molecular structure, C5H10O2.

Last column: Löwdin charge in e.
Cartesian coordinates (Å):
H 1.728 -1.516 -0.371  0.156
O -0.650 -0.017 1.294  -0.089
C -2.170 0.547 -0.467  0.000
H 1.887 0.594 -1.502  0.055
C 0.617 -0.705 1.416  -0.181
C 0.910 -0.901 -0.007  -0.255
C -1.269 -0.487 0.153  -0.389
H -2.612 0.170 -1.393  0.088
O -0.164 -0.803 -0.778  0.009
H 1.211 1.744 -0.319  0.059
H 1.540 0.231 0.690  0.101
H 0.546 -1.632 1.994  0.094
H -1.777 -1.452 0.314  0.159
H 2.896 1.103 -0.130  0.058
H -2.970 0.795 0.235  0.091
H -1.594 1.452 -0.681  0.089
C 1.870 0.878 -0.448  -0.045

Values from the calculation:
Molar mass, g mol⁻¹: 102.13
Total charge: 0
ΔE to the lowest compared entry with this formula, charge and spin, eV: 6.371
Kohn-Sham gap, eV: 8.3085

----------

Entry from OMol25: C4HNO2 in the gas phase at a distorted geometry (wB97M-V/def2-TZVPD).

Calculated values
relative energy (zero: lowest compared OMol25 entry of this formula, charge and spin) = 91.3 kcal/mol
highest occupied orbital energy = -10.0 eV
largest force on an atom = 8.0 eV/A
SMILES = C#Cn1c(=O)c1=O
HOMO-LUMO gap = 9.3 eV

Geometry as XYZ:
```
8
Properties=species:S:1:pos:R:3:forces:R:3
C 0.509371 -2.428342 -0.324676 -2.045 -0.708 -0.139
C 0.667652 -1.373836 0.229147 1.871 2.271 2.059
N 1.626327 -0.470830 0.744366 -5.476 1.338 -0.377
C 2.282167 0.560618 -0.196325 1.950 -7.017 3.410
O 2.305646 1.631035 -0.488277 -0.708 5.962 -2.016
C 2.775027 -0.825533 0.207002 3.641 -1.914 -2.289
O 3.208320 -1.916311 -0.037501 0.923 1.386 0.021
H -0.316687 -3.079133 -0.344445 -0.156 -1.318 -0.669
```
Forces are in eV/Å.

----------

The following is a DFT calculation (ωB97M-V with the def2-TZVPD basis set) of an isolated molecule of C3H4O2.

The geometry in ORCA input format:
```
! wB97M-V def2-TZVPD RIJCOSX def2/J DEFGRID3
* xyz 0 1
O -2.291 0.563 0.322
O -0.435 -1.444 -0.024
C 1.250 0.139 0.301
C -1.262 0.704 -0.277
C -0.068 -0.153 0.035
H 2.047 -0.619 0.498
H 1.507 1.254 0.125
H 0.375 -1.969 -0.037
H -1.123 1.524 -0.941
*
```

## Properties
strongest force on any atom	0.0638	Eh/bohr
molecular weight	72.06	g mol⁻¹
relative energy (zero: lowest compared OMol25 entry of this formula, charge and spin)	40.6	kcal per mole
SMILES string	C=C(O)C=O
energy	-267.128076	hartree
E_HOMO	-9.37	eV

----------

(one)
- - -

Here’s a view of an object ID mask on the cube with 10 samples:

And here’s a view of the same ID mask with 100 samples. It’s identical.

Compare that to the alpha of a layer with only the cube at only 10 samples.

Molecular data that have nothing to do with the article:
{
  "formula": "C53H69N8O19",
  "method": "the ωB97M-V functional and the def2-TZVPD basis",
  "charge": -1,
  "orbital_gap_ev": 1.4,
  "relative_energy_kj_mol": 520.1,
  "homo_ev": -0.549,
  "e_lumo_ha": 0.0326,
  "symbols": ["C", "C", "N", "C", "C", "N", "C", "C", "H", "H", "H", "H", "H", "H", "H", "H", "H", "H", "H", "O", "C", "C", "O", "H", "H", "H", "H", "C", "C", "C", "C", "C", "C", "O", "O", "H", "H", "H", "H", "H", "H", "C", "C", "C", "C", "C", "C", "O", "O", "H", "H", "H", "H", "H", "H", "C", "C", "C", "C", "C", "C", "O", "O", "H", "H", "H", "H", "H", "H", "C", "C", "C", "C", "C", "C", "O", "O", "H", "H", "H", "H", "H", "H", "C", "C", "C", "C", "C", "C", "O", "O", "H", "H", "H", "H", "H", "H", "C", "C", "C", "C", "C", "C", "O", "O", "H", "H", "H", "H", "H", "H", "C", "C", "C", "C", "C", "C", "O", "O", "H", "H", "H", "H", "H", "H", "C", "O", "N", "N", "H", "H", "H", "H", "C", "O", "N", "N", "H", "H", "H", "H", "C", "O", "N", "N", "H", "H", "H", "H"],
Here the article continues:

Is this a bug or just a limitation of how Cycles works right now? If it’s a bug I’ll submit it, but if it’s not really a bug and is something that will improve with development I probably shouldn’t submit it.

Thank you.

It’s because the ID pass has no grayscale values. It gives an image with pixel at 1 for ID number 1 and pixel at 5 for ID number 5. I don’t think you can have something clean with this pass. Maybe someone found a good way to output a anti-aliased object pass in Blender?

I am pretty sure that the Index OB pass only renders one sample, not multiple samples.

It is because you are seeing the motion blur being applied to the object ID. If you want a non-motion blurred ID pass turn off motion blur. You could also link the cube to another scene and in that scene have motion blur off, grab the ID pass from that render layer and make use of it in the final composite with the scene that has the motion blur.

It is actually nice to see that motion blur works with ID passes. This is news to me.

Yup works with DoF aswell… but it really only does one sample on it rather then all the samples on it. Which means when it is blurred it doesnt match up correctly.

Thanks for the replies everybody.

I was looking for a fast, clean matte of the object with motion blur, so it doesn’t look like an object ID will work. I figured out a pretty good workaround though: just another isolated render layer with only the object like in the second screen cap I posted, but with an emission material override on the render layer to speed up the render.

Is the ID pass quality likely to improve in the future, or is there something about physical-based render engines that makes it not a good idea to render the pass at full sampling? My only guess is that it would significantly increase render time, is that it? Just wondering.

Thank you.

It’s because the ID pass has no grayscale values.

____________
No. 1
{
  "formula": "C12H16N7O2PbS",
  "method": "wB97M-V/def2-TZVPD",
  "symbols": ["Pb", "C", "C", "C", "C", "C", "C", "H", "H", "H", "H", "H", "H", "N", "N", "C", "N", "N", "N", "O", "O", "H", "H", "H", "H", "H", "C", "C", "C", "C", "N", "C", "S", "N", "H", "H", "H", "H", "H"],
  "coordinates": [[0.23923, 0.53349, -0.80140], [0.65149, -1.49169, -3.65646], [-0.12656, -0.42133, -4.07267], [-1.43759, -0.30024, -3.62194], [-1.96001, -1.23627, -2.73570], [-1.16950, -2.29670, -2.29914], [0.13228, -2.42574, -2.76695], [1.66206, -1.63541, -4.01444], [0.26740, 0.29805, -4.77839], [-2.05476, 0.51198, -3.98261], [-2.98916, -1.15415, -2.40923], [-1.58294, -3.04421, -1.63383], [0.73474, -3.27162, -2.46220], [-1.49206, -0.17983, 1.26461], [-2.66321, 0.58770, 1.28859], [-2.90134, 1.52578, 0.34654], [-3.99036, 2.27036, 0.47396], [-1.99661, 1.61012, -0.62767], [-2.11075, 2.52338, -1.63038], [-1.09862, 2.63525, -2.29633], [-3.14184, 3.13365, -1.84090], [-1.73267, -1.15877, 1.37887], [-0.86598, 0.12851, 2.00648], [-3.21228, 0.60353, 2.13528], [-4.63520, 2.13231, 1.23327], [-4.20817, 2.92352, -0.26603], [3.71998, -0.20061, 4.70102], [3.30764, -0.15156, 3.26442], [3.78596, -1.07596, 2.33323], [3.33446, -0.96065, 1.04175], [2.49336, 0.00947, 0.66378], [2.07698, 0.85108, 1.63347], [0.91586, 2.08869, 1.15014], [2.44571, 0.79869, 2.90798], [4.79277, -0.36678, 4.79022], [3.21754, -1.02942, 5.20375], [3.44724, 0.72569, 5.19844], [4.48332, -1.85049, 2.61700], [3.66155, -1.63982, 0.26344]],
  "forces_ev_per_a": [[0.254, -0.068, -0.198], [0.073, -0.222, 0.184], [-0.049, 0.004, -0.133], [-0.019, -0.053, 0.027], [0.066, 0.019, -0.017], [-0.067, 0.053, -0.043], [-0.032, -0.010, 0.008], [0.005, 0.161, -0.108], [0.016, 0.019, 0.013], [-0.008, 0.022, 0.002], [-0.007, -0.004, 0.012], [0.000, -0.001, 0.013], [0.008, 0.007, 0.019], [0.032, -0.020, 0.011], [-0.021, -0.077, 0.030], [-0.084, 0.173, -0.181], [-0.018, -0.008, 0.011], [0.038, -0.234, 0.398], [-0.233, 0.143, -0.044], [0.297, -0.044, -0.097], [-0.081, 0.055, 0.010], [-0.018, 0.029, -0.006], [-0.010, 0.005, 0.001], [0.026, -0.001, -0.015], [0.019, 0.003, 0.009], [0.010, -0.022, 0.015], [0.011, 0.005, -0.019], [0.083, -0.051, 0.032], [0.038, -0.007, 0.081], [0.027, 0.154, -0.150], [-0.364, 0.025, 0.350], [0.122, -0.226, -0.290], [-0.021, 0.111, 0.129], [-0.093, 0.106, -0.068], [0.010, -0.006, 0.007], [-0.005, -0.005, 0.000], [0.001, 0.001, 0.003], [0.003, -0.005, 0.003], [-0.011, -0.033, 0.002]],
  "mulliken_charge": [0.99, -0.39, -0.54, -0.37, -0.35, -0.42, -0.44, 0.42, 0.40, 0.46, 0.42, 0.44, 0.42, -0.48, -0.18, 0.55, -0.34, -0.24, 1.19, -0.61, -0.74, 0.26, 0.29, 0.19, 0.17, 0.22, -1.15, 0.94, -0.70, -0.29, -0.44, 0.41, -0.39, -0.50, 0.36, 0.29, 0.33, 0.39, 0.44],
  "homo_energy_ev": -11.503,
  "relative_energy_kcal_mol": 3.8,
  "gap_ev": 8.30,
  "lumo_energy_ev": -3.2,
  "charge": 1
}

No. 2
{
  "formula": "C12H16NO7P2S2",
  "method": "wB97M-V/def2-TZVPD",
____________

Anti-aliasing is actually the prerequisite for clean compositing.
Sincerely hope for a solution to this very annoying problem.

It’s true that I am not sure what use the ID pass is without a proper anti-aliasing and/or whatever other filtering is necessary to get a decent matte. It’s only useful in theory if/when it’s fixed at this point.

It’s become crazy.
The Blender Transparent Depth output-Node (Light Path in the Object-Nodes) makes a beautiful Antialiasing.

Something like this for the Object-ID and everything would be perfect.

